By KingFML1 - 14/06/2015 17:16 - United States - Sayre

Today, I started working my new summer job at McDonald's. Only 2 hours into my first shift, my tooth falls out onto a young girl's tray of food. Not only did she see it, but my managers and other people waiting in line all saw it. I don't think I have a summer job anymore. FML
I agree, your life sucks 27 173
You deserved it 5 428

KingFML1 tells us more.

Hey guys OP here... Can't believe this was posted to be honest!!! I had to make a account so I could explain what happened.. First off, it is a FAKE tooth that I have had trouble with and has fallen out numerous times before this coincidence. I haven't had a real tooth in that spot for 5 years now, so when the fake tooth falls out it doesn't bother me. Well at least it didn't. Unfortunately, the young girl was mortified, as was I?. She didn't eat her food after managers refunded and paid for a new meal, and replaced everything on the tray, (I felt terrible by the way). Although my managers were very understanding, the mother wasn't to happy and I doubt she'll be back(I don't blame her). Looking back now, it will be a great story to tell my kids someday. Now I'm looking into implants instead of having the chance of my fake tooth falling out onto another tray of food. Anyway thanks for the comments so far, you guys have me laughing my ass off! Keep it up, Thanks!!

Top comments

What the **** is wrong with your mouth? Are you not lovin' it?

I'd be pretty grossed out too :/ Unless you're 12 and that's a baby tooth, I'd suggest seeing a dentist asap.


Its McDonald's something like that happens everyday, don't worry man.

### Attached: records of molecules
*a*
Entry from the Open Molecules 2025 dataset: an isolated molecule of C3H9NS2 (ωB97M-V with the def2-TZVPD basis set).

Results
HOMO level: -0.327 hartree
E_LUMO: 0.025 Ha
orbital gap: 9.5741 eV

Each line ends with the natural charge from an NBO analysis.
CARTESIAN COORDINATES (ANGSTROEM)
C1 -2.405 0.175 -1.102  -0.7548
S1 -1.462 0.420 0.466  0.0897
S2 -0.060 -1.085 0.213  0.0712
C2 1.194 -0.330 -0.893  -0.5242
C3 1.860 0.862 -0.189  -0.2343
N1 2.510 0.484 1.058  -0.8378
H1 -1.704 -0.064 -1.882  0.2162
H2 -3.022 0.997 -1.427  0.2273
H3 -3.251 -0.763 -1.158  0.2146
H4 1.872 -1.111 -1.058  0.2243
H5 0.763 -0.146 -1.831  0.2170
H6 2.692 1.232 -0.842  0.1963
H7 0.986 1.668 -0.124  0.1738
H8 1.836 -0.085 1.548  0.3594
H9 2.722 1.278 1.611  0.3613



*b*
Entry from the Open Molecules 2025 dataset: an isolated molecule of C3H9NS2 (ωB97M-V with the def2-TZVPD basis set).

Results
HOMO level: -0.307 hartree
E_LUMO: 0.031 Ha
orbital gap: 9.1820 eV

Each line ends with the natural charge from an NBO analysis.
CARTESIAN COORDINATES (ANGSTROEM)
C1 -2.464 -0.551 0.292  -0.7563
S1 -1.113 0.363 1.131  0.0806
S2 -0.038 1.146 -0.418  0.0606
C2 0.568 -0.469 -1.222  -0.4964
C3 1.463 -1.260 -0.294  -0.2386
N1 2.774 -0.656 -0.101  -0.8580
H1 -2.251 -1.357 -0.405  0.2120
H2 -3.170 -0.906 1.052  0.2319
H3 -2.909 0.237 -0.306  0.2233
H4 1.044 -0.272 -2.180  0.2209
H5 -0.359 -0.995 -1.409  0.2149
H6 1.564 -2.271 -0.718  0.1619
H7 0.994 -1.488 0.665  0.2077
H8 3.335 -1.161 0.560  0.3705
H9 3.241 -0.307 -0.911  0.3650



*c*
Entry from the Open Molecules 2025 dataset: an isolated molecule of C3H9NS2 (ωB97M-V with the def2-TZVPD basis set).

Results
HOMO level: -0.322 hartree
E_LUMO: -0.028 Ha
orbital gap: 7.9958 eV

Each line ends with the natural charge from an NBO analysis.
CARTESIAN COORDINATES (ANGSTROEM)
C1 -2.325 1.911 -0.625  -0.7844
S1 -1.232 1.072 0.526  0.0704
S2 0.225 0.394 -1.279  0.1006
C2 0.396 -1.177 -0.429  -0.5728
C3 1.154 -1.198 0.897  -0.2423
N1 2.417 -0.486 1.079  -0.8205
H1 -1.911 2.821 -1.068  0.2225
H2 -2.515 1.163 -1.419  0.2303
H3 -3.377 2.046 -0.356  0.2387
H4 0.707 -1.799 -1.255  0.2203
H5 -0.615 -1.537 -0.205  0.2307
H6 1.468 -2.233 1.017  0.1955
H7 0.421 -0.959 1.665  0.2011
H8 2.273 0.516 1.259  0.3598
H9 2.914 -0.534 0.191  0.3503



Most stable structure: *b*



*a*
Entry from the Open Molecules 2025 dataset: a cluster of 2 separate species, C3H9NS2 in total (ωB97M-V with the def2-TZVPD basis set).

Results
HOMO level: -0.309 hartree
E_LUMO: 0.019 Ha
orbital gap: 8.9276 eV

Each line ends with the natural charge from an NBO analysis.
CARTESIAN COORDINATES (ANGSTROEM)
C1 -1.013 -1.285 -0.635  -0.5387
C2 -0.492 -1.243 0.589  0.0173
N1 -0.025 -2.332 1.310  -0.8133
H1 -1.017 -2.194 -1.221  0.1928
H2 -1.399 -0.386 -1.091  0.2035
H3 -0.423 -0.306 1.127  0.1875
H4 0.217 -3.156 0.778  0.3732
H5 0.679 -2.128 2.000  0.3762
C3 -0.251 2.438 -0.069  -0.7430
S1 0.947 2.285 -1.422  0.0888
S2 2.317 0.960 -0.611  -0.1489
H6 -0.856 3.315 -0.290  0.2293

Enough with everyone making Meth jokes. I've had a permanent tooth get damaged (an accident) and had to have the rest of it removed and now i have an implant.

Alright after I explained what happened, some are asking why my tooth fell out. Well it was because I did meth...... JK. Okay so I'm 19, and I lost 4 teeth in a car accident when I was 14. Was a pretty serious accident, when a drunk driver hit my parents car. I was in the back seat on drivers side, where the truck impacted. Thankfully everyone survived, and I would rather lose few teeth then lose my life. Once again you guys have made me laugh, and thanks for commenting. P.S. I kept my job!

I'm so glad you're ok! And...thanks for clearing that up for all the negative, cynical ppl... :P

I'm fifteen and still losing teeth. I feel you, lol.

AntiJuliet 3

If you're old enough to work and your teeth are falling out I think you have bigger problems to worry about.

hannahgrac3 12
AnonymousZOMBIE 12

don't worry, McDonald's is disgusting anyway...